So, nothing new happening here – just another “study my ass of” Saturday. Hope I finally manage to graduate my university this semester. About yesterday’s post, I’m still not definitely sure in which direction the horse is looking at, but I have noticed another peculiar detail – If you think hard, you’ll be able to see his front legs switch. The left one becomes his right foot, and right foot becomes his left. Another thing I have to admit: in the intro above, I wasn’t completely telling the truth. I wrote this post on Friday, and set it to auto publish on Saturday (today). The reason is my overfilled schedule in following days. Well, maybe the Saturday wasn’t so usual after all, I just don’t know it yet! Enjoy these few funny comics I managed to collect over past years. They all have something in common, and guess what – optical illusions. I just haven’t figured the last one yet (the one with glasses). Any luck over there?
The last one refers to the glasses= optical an illusion that the castaways see…
i luv the one bout the moon
the one with the glaSses is probably a marage… but its used to see and stuff so the glasses is sometHing opticAl and also an illusIon. i dont get the one with the bathing suit.
The last 1 is eyes eg “optical” and a mirage or “illusion”
Pretty funny…the last one is supposed to be a mirage (something illusory) of a pair of glasses (for optical correction) or an “optical illusion”
the last one its like the glasses are a mirage (spelling??)
i think
nice post :)
this post sucks…
the one with gore is pretty funny tho
OH SNAP IM #1 oh yea i still dont get it
Wouldn’t the last one just be a “fata Morgana”?
have i got the first comment? prob not. still, i think the garfield and the bathing suit are funny, and the other three just odd. at least these are different & new, but the horse sillhouette was better.
the last one…it’s an optical illusion because the glasses (optical) are an illusion
Aw its a pitty as the last one is the best!:)
its an OPTICAL(glasses) illusion:) (its a Mirage)
and is the top one just that Garfield thinks he looks fat when he looks down at himself?:P
What comic is the Suzy one from?
The bathing suit one refers to the darker portion of the suit which is supposed to give the illusion that the body in it is shaped like the dark portion while the rest is seemingly invisible. It creates the illusion that the fat body in the suit isn’t really fat. Dumb!
last one:
the castaways see mirages
but get it? OPTICAL illusion…
garfield one = he is sayig you look fat instead of you are fat
Here the text breaks off for data records:
=====
DFT (PBE) results for a relaxed TbGdFe2Si4 crystal.

Output
Calculated total energy = -6.560 eV/atom
Density = 6.75 g cm⁻³

a b c (Å): 3.978 4.067 16.431
angles (deg): 90.00 90.00 90.00
Space group Amm2 (No. 38)
One atom of each set of equivalent atoms:
Tb 0.000 0.000 0.000
Gd 0.500 0.000 0.784
Fe 0.000 0.000 0.213
Fe 0.500 0.000 0.571
Si 0.000 0.000 0.349
Si 0.000 0.000 0.642
Si 0.500 0.000 0.141
Si 0.500 0.000 0.435

---

DFT (PBE) results for a relaxed SmGdFe crystal.

Output
ΔE_f = 0.24 eV per atom
Distance to the lowest polymorph of the same formula = 0 kJ/mol of formula units
Density = 8.12 g cm⁻³

a b c (Å): 6.675 6.675 6.675
angles (deg): 90.00 90.00 90.00
Space group F-43m (No. 216)
One atom of each set of equivalent atoms:
Sm 0.000 0.000 0.000
Gd 0.000 0.000 0.500
Fe 0.250 0.250 0.750

---

DFT (PBE) results for a relaxed SmGdFe2Sn crystal.

Output
Calculated total energy = -6.251 eV/atom
Density = 8.36 g cm⁻³

a b c (Å): 3.890 3.910 14.054
angles (deg): 90.00 90.00 90.00
Space group Amm2 (No. 38)
One atom of each set of equivalent atoms:
Sm 0.000 0.000 0.000
Gd 0.000 0.000 0.268
Fe 0.500 0.000 0.429
Fe 0.500 0.000 0.837
Sn 0.500 0.000 0.635

---

DFT (PBE) results for a relaxed SmGdTlFe2 crystal.

Output
Calculated total energy = -5.789 eV/atom
Density = 9.63 g cm⁻³

a b c (Å): 4.040 3.813 13.957
angles (deg): 90.00 90.00 90.00
Space group Amm2 (No. 38)
One atom of each set of equivalent atoms:
Sm 0.000 0.000 0.000
Gd 0.000 0.000 0.724
Tl 0.500 0.000 0.361
Fe 0.500 0.000 0.153
Fe 0.500 0.000 0.574

---

DFT (PBE) results for a relaxed Gd2FeSn6 crystal.

Output
Calculated total energy = -5.004 eV/atom
Density = 7.97 g cm⁻³

a b c (Å): 4.381 23.060 4.465
angles (deg): 90.00 90.00 90.00
Space group Cmmm (No. 65)
One atom of each set of equivalent atoms:
Gd 0.000 0.177 0.000
Fe 0.000 0.500 0.500
Sn 0.000 0.070 0.500
Sn 0.000 0.294 0.500
Sn 0.000 0.431 0.000

---

DFT (PBE) results for a relaxed TbGdFe4 crystal.

Output
ΔE_f = -0.04 eV per atom
Density = 9.35 g cm⁻³

a b c (Å): 7.264 7.264 7.264
angles (deg): 90.00 90.00 90.00
Space group F-43m (No. 216)
One atom of each set of equivalent atoms:
Tb 0.000 0.000 0.000
Gd 0.250 0.250 0.750
Fe 0.125 0.125 0.375

---

DFT (PBE) results for a relaxed GdFeTc crystal.

Output
ΔE_f = 0.54 eV per atom
Density = 9.04 g cm⁻³

a b c (Å): 6.115 6.115 6.115
angles (deg): 90.00 90.00 90.00
Space group F-43m (No. 216)
One atom of each set of equivalent atoms:
Gd 0.000 0.000 0.000
Fe 0.250 0.250 0.250
Tc 0.000 0.000 0.500

---

DFT (PBE) results for a relaxed GdTlFeTe3 crystal.

Output
Distance to the lowest polymorph of the same formula = 46 kJ/mol of formula units
Density = 7.28 g cm⁻³

a b c (Å): 12.326 4.513 13.118
angles (deg): 90.00 90.00 90.00
Space group Pnma (No. 62)
One atom of each set of equivalent atoms:
Gd 0.021 0.250 0.184
Tl 0.185 0.250 0.494
Fe 0.246 0.750 0.299
Te 0.040 0.750 0.348
Te 0.101 0.250 0.941
Te 0.220 0.750 0.697
=====
costume one is making her appear slim
glasses are for “optical” correction and he thinks its an illusion
the other two are self explanatory
Go Grafield!!!!
lol the moon one and the bathing suit one tickled my funny bone =)
In the words of my father “That last one was ‘punny'”
I like it!
Nice to have something comical every now and then.
And oh you people.. ” I have first post!!!!”
You just don’t though do you.
I don’t understand the “foreboding” comic….?
i think the last one has something to do with them being coke bottle glasses. (just a guess)
Hey I enjoyed what you had to say.I’m totally new to these stations cuz I’m relatively new to the internet too.I see you’re pressed for tiome but if you can find that minute…maybe you can steer a beginner to the right place so I won’t have to bump my heads where you may of already.Sooooo if you can?
• Unrelated to this piece: crystal structures:
=====
[1]
VASP calculation (PBE) on an optimized crystal structure of La2ScPt. Values from VASP.

Quantum ESPRESSO input file:
```
&SYSTEM
  ibrav = 0, nat = 4, ntyp = 3
/
ATOMIC_SPECIES
Sc 44.96 Sc.upf
Pt 195.08 Pt.upf
La 138.91 La.upf
CELL_PARAMETERS angstrom
0.000 3.757 3.757
3.757 0.000 3.757
3.757 3.757 0.000
ATOMIC_POSITIONS crystal
Sc 0.000 0.000 0.000
Pt 0.500 0.500 0.500
La 0.250 0.250 0.250
La 0.750 0.750 0.750
```

Computed properties:
ΔE_f   -0.278 eV/atom
Energy relative to the lowest polymorph listed for this composition   28.0 kJ/mol of atoms
Total magnetization   0.000 μB/cell
DOS at the Fermi energy   1.22 states/eV/atom

[2]
VASP calculation (PBE) on an optimized crystal structure of LaSc2Pt. Values from VASP.

Quantum ESPRESSO input file:
```
&SYSTEM
  ibrav = 0, nat = 4, ntyp = 3
/
ATOMIC_SPECIES
La 138.91 La.upf
Pt 195.08 Pt.upf
Sc 44.96 Sc.upf
CELL_PARAMETERS angstrom
6.299 -0.024 0.009
5.344 3.334 0.009
2.151 0.611 4.710
ATOMIC_POSITIONS crystal
La 0.750 0.750 0.750
Pt 0.250 0.250 0.250
Sc 0.952 0.952 0.048
Sc 0.548 0.548 0.452
```

Computed properties:
ΔE_f   -0.558 eV/atom
Total magnetization   0.001 μB/cell
DOS at the Fermi energy   1.46 states/eV/atom

[3]
VASP calculation (PBE) on an optimized crystal structure of La2ScSi3Pt12. Values from VASP.

Quantum ESPRESSO input file:
```
&SYSTEM
  ibrav = 0, nat = 18, ntyp = 4
/
ATOMIC_SPECIES
La 138.91 La.upf
Sc 44.96 Sc.upf
Si 28.09 Si.upf
Pt 195.08 Pt.upf
CELL_PARAMETERS angstrom
-3.560 -3.251 -6.049
3.994 -5.603 -3.534
-2.636 -7.170 1.211
ATOMIC_POSITIONS crystal
La 0.606 0.606 0.606
La 0.394 0.394 0.394
Sc 0.000 0.000 0.000
Si 0.500 0.000 0.000
Si 0.000 0.500 0.000
Si 0.000 0.000 0.500
Pt 0.351 0.351 0.900
Pt 0.864 0.864 0.384
Pt 0.384 0.864 0.864
Pt 0.900 0.351 0.351
Pt 0.864 0.384 0.864
Pt 0.351 0.900 0.351
Pt 0.649 0.649 0.100
Pt 0.136 0.136 0.616
Pt 0.616 0.136 0.136
Pt 0.100 0.649 0.649
Pt 0.136 0.616 0.136
Pt 0.649 0.100 0.649
```

Computed properties:
Raw formation energy   -11.02 eV/f.u.
Total magnetization   0.000 μB/cell
DOS at the Fermi energy   0.47 states/eV/atom

[4]
VASP calculation (PBE) on an optimized crystal structure of LaScSi2Pt2. Values from VASP.

Quantum ESPRESSO input file:
```
&SYSTEM
  ibrav = 0, nat = 6, ntyp = 4
/
ATOMIC_SPECIES
La 138.91 La.upf
Sc 44.96 Sc.upf
Si 28.09 Si.upf
Pt 195.08 Pt.upf
CELL_PARAMETERS angstrom
-0.426 -3.664 2.236
1.177 -0.129 -4.148
6.918 0.386 1.952
ATOMIC_POSITIONS crystal
La 0.000 0.000 0.000
Sc 0.000 0.000 0.500
Si 0.667 0.333 0.703
Si 0.333 0.667 0.297
Pt 0.667 0.333 0.308
Pt 0.333 0.667 0.692
```

Computed properties:
Raw formation energy   -7.05 eV/f.u.
Total magnetization   0.000 μB/cell
DOS at the Fermi energy   0.49 states/eV/atom

[5]
VASP calculation (PBE) on an optimized crystal structure of LaSc2SnPt. Values from VASP.

Quantum ESPRESSO input file:
```
&SYSTEM
  ibrav = 0, nat = 5, ntyp = 4
/
ATOMIC_SPECIES
Sc 44.96 Sc.upf
Sn 118.71 Sn.upf
Pt 195.08 Pt.upf
La 138.91 La.upf
CELL_PARAMETERS angstrom
=====
Mike Ledwell
I just said what it took forever to get here so it copuld happen and I do not see anyuthing posted.How come?
the last one is litterally and optical illusion. “optical, meaning, “of the eye”. and “illusion” , a false mental understanding.
What’s the red circle in the Gore illusion for? :S
wow, comics. That’s a first… I think.
well i use glases so I take them off and it looks like thesiluette of a woman (im talking about the last picture) well maybe im just imaging or just the best optical illusion for guyswiths glases
a lot of people dont get the “bathing suit” one. if you look closly, there are lines between her waist and the starting point of her legs. if you TOTALLY dont get it, youre supposed to think that she has a tiny suit on, when she really has a black and white suit with thick, vertical lines.
Lol, at the picture on the 3rd lane or should i say 4th pic >:)
I don’t get the one with the red circle
first of all im missing the illusion part in the first 2 second of all the 3rd one is down right stupid and third of all the 4th is just plain wrong!!!!
oh and people that do not get the 4th one the circle is around what is supposed (or not) 2 b her thing or should i say private
show us some real ones instead!
i dont get the one obove the last one
I enjoyed the phallic void.
Thanks for the collections though.
# Data records, kept here for reference
[1]
Below is an optimized crystal structure of Ti2GaSe, with properties calculated at the PBE level.

POSCAR file:
```
Ti2GaSe
1.0
-3.002 3.754 -2.997
0.839 -3.070 -4.686
-6.120 -2.776 -2.701
Ti Se Ga
4 2 2
Direct
0.875 0.872 0.750 Ti
0.375 0.378 0.750 Ti
0.128 0.625 0.250 Ti
0.622 0.125 0.250 Ti
0.000 0.000 0.000 Se
0.750 0.250 0.500 Se
0.500 0.500 0.000 Ga
0.250 0.750 0.500 Ga
```

Results
Total energy (eV/atom): -5.494
Polymorph energy (0 for the lowest one) (meV per atom): 638.0
Formation energy without anion corrections (meV per atom): 81


[2]
Below is an optimized crystal structure of CrMoCl2, with properties calculated at the PBE level.

POSCAR file:
```
CrMoCl2
1.0
3.511 3.925 6.315
5.189 1.467 6.207
5.811 3.773 4.428
Cr Mo Cl
1 1 2
Direct
0.500 0.500 0.500 Cr
0.000 0.000 0.000 Mo
0.900 0.900 0.900 Cl
0.100 0.100 0.100 Cl
```

Results
Total energy (eV/atom): -5.706
Polymorph energy (0 for the lowest one) (meV per atom): 556.1
Formation energy without anion corrections (meV per atom): 331


[3]
Below is an optimized crystal structure of ReOsI2N, with properties calculated at the PBE level.

POSCAR file:
```
ReOsI2N
1.0
-4.349 1.815 -1.787
-0.754 -3.360 -1.577
-2.341 -1.455 4.219
Re I Os N
1 2 1 1
Direct
0.000 0.500 0.000 Re
0.500 0.000 0.000 I
0.000 0.000 0.500 I
0.500 0.500 0.500 Os
0.000 0.000 0.000 N
```

Results
Total energy (eV/atom): -5.083
Polymorph energy (0 for the lowest one) (meV per atom): 446.1
Formation energy without anion corrections (meV per atom): 1938


[4]
Below is an optimized crystal structure of CaCd2P, with properties calculated at the PBE level.

POSCAR file:
```
CaCd2P
1.0
7.098 0.030 0.019
5.810 4.078 0.019
5.810 1.849 3.634
P Cd Ca
1 2 1
Direct
0.250 0.250 0.250 P
0.978 0.978 0.978 Cd
0.522 0.522 0.522 Cd
0.750 0.750 0.750 Ca
```

Results
Total energy (eV/atom): -2.439
ΔE_f (kJ/mol of atoms): -12


[5]
Below is an optimized crystal structure of ScAl2Hg, with properties calculated at the PBE level.

POSCAR file:
```
ScAl2Hg
1.0
-0.560 4.062 -3.563
0.912 0.589 -5.323
-3.483 -0.329 -2.264
Al Hg Sc
2 1 1
Direct
0.000 0.000 0.000 Al
0.500 0.500 0.500 Al
0.250 0.250 0.250 Hg
0.750 0.750 0.750 Sc
```

Results
Total energy (eV/atom): -3.691
ΔE_f (kJ/mol of atoms): -16


[6]
Below is an optimized crystal structure of KRb2AsPt, with properties calculated at the PBE level.

POSCAR file:
```
KRb2AsPt
1.0
-5.425 -0.964 -4.065
-0.236 -6.581 1.876
-2.846 1.110 3.536
K Rb Pt As
1 2 1 1
Direct
0.500 0.500 0.500 K
0.500 0.000 0.000 Rb
0.000 0.500 0.000 Rb
0.000 0.000 0.000 Pt
0.000 0.000 0.500 As
```

Results
Total energy (eV/atom): -2.923
ΔE_f (kJ/mol of atoms): -17
Polymorph energy (0 for the lowest one) (meV per atom): 0.0


[7]
Below is an optimized crystal structure of UTl2AgCl8, with properties calculated at the PBE level.

POSCAR file:
```
UTl2AgCl8
1.0
6.606 -0.437 -0.013
-0.512 6.671 -0.006
-0.009 0.014 10.092
U Tl Ag Cl
1 2 1 8
Direct
0.000 0.000 0.500 U
0.499 0.498 0.774 Tl
0.501 0.502 0.226 Tl
0.000 0.000 0.000 Ag
i think the bathng suit is like showing two bathing suits the one for fat and one for thin type of a girl/swimsuit
is that the illusion?